# File
~~~
{"formula": "C5H14O2", "method": "the ωB97M-V functional and the def2-TZVPD basis", "elements": ["C", "C", "C", "C", "C", "H", "H", "H", "H", "H", "H", "H", "H", "H", "H", "O", "H", "H", "O", "H", "H"], "coordinates": [[1.592302, 3.427236, 0.438488], [0.931356, 2.037061, 0.574191], [-0.067886, 1.592297, -0.216318], [-1.201991, 0.844658, 0.442769], [-0.336846, 2.226860, -1.562598], [1.668745, 3.544861, -0.642382], [1.021837, 4.172145, 0.999168], [2.582860, 3.416966, 0.895441], [1.290249, 1.446697, 1.419750], [-1.568565, -0.040250, -0.089296], [-2.050283, 1.522574, 0.634058], [-0.920350, 0.571564, 1.466049], [-0.499801, 3.305648, -1.500629], [-1.227207, 1.739969, -1.957449], [0.545824, 2.116421, -2.204258], [-0.864472, -2.787132, 0.680355], [-1.536794, -2.765216, 1.389054], [-0.014961, -2.682196, 1.131172], [0.315095, -5.499797, -0.547830], [-0.653260, -5.534768, -0.460496], [0.338727, -4.930122, 0.237724]], "forces_ev_per_a": [[0.3, -2.2, -0.4], [0.2, 0.6, 0.2], [0.1, 1.4, 1.2], [0.2, -0.8, 0.3], [0.1, 0.0, 0.4], [0.1, 1.1, 0.2], [-0.2, 0.0, -0.5], [0.1, 0.0, -0.2], [-0.8, 0.2, 0.3], [0.0, 0.1, 0.0], [0.2, 0.0, -0.5], [0.2, -0.3, -0.2], [-0.3, 0.0, 0.1], [0.2, 0.2, -0.5], [-0.4, -0.2, -0.1], [-0.3, -0.2, 0.6], [0.5, 0.0, -0.5], [-0.2, 0.1, -0.1], [-1.2, 0.5, 1.2], [0.0, -0.7, -1.1], [1.2, 0.2, -0.1]], "lowdin_charge": [-0.087, -0.139, -0.357, -0.087, -0.074, 0.058, 0.077, 0.060, 0.092, 0.064, 0.088, 0.068, 0.077, 0.072, 0.083, -0.063, 0.056, 0.044, -0.075, 0.036, 0.007], "charge": 0, "smiles": "CC=C(C)C.O.O", "spin_multiplicity": 1, "e_lumo_ev": 0.49, "e_homo_ha": -0.3090}
~~~
# To do
Filter the data further up: keep the lines with the word "e_lumo_ev".
# Completed
{"formula": "C5H14O2", "method": "the ωB97M-V functional and the def2-TZVPD basis", "elements": ["C", "C", "C", "C", "C", "H", "H", "H", "H", "H", "H", "H", "H", "H", "H", "O", "H", "H", "O", "H", "H"], "coordinates": [[1.592302, 3.427236, 0.438488], [0.931356, 2.037061, 0.574191], [-0.067886, 1.592297, -0.216318], [-1.201991, 0.844658, 0.442769], [-0.336846, 2.226860, -1.562598], [1.668745, 3.544861, -0.642382], [1.021837, 4.172145, 0.999168], [2.582860, 3.416966, 0.895441], [1.290249, 1.446697, 1.419750], [-1.568565, -0.040250, -0.089296], [-2.050283, 1.522574, 0.634058], [-0.920350, 0.571564, 1.466049], [-0.499801, 3.305648, -1.500629], [-1.227207, 1.739969, -1.957449], [0.545824, 2.116421, -2.204258], [-0.864472, -2.787132, 0.680355], [-1.536794, -2.765216, 1.389054], [-0.014961, -2.682196, 1.131172], [0.315095, -5.499797, -0.547830], [-0.653260, -5.534768, -0.460496], [0.338727, -4.930122, 0.237724]], "forces_ev_per_a": [[0.3, -2.2, -0.4], [0.2, 0.6, 0.2], [0.1, 1.4, 1.2], [0.2, -0.8, 0.3], [0.1, 0.0, 0.4], [0.1, 1.1, 0.2], [-0.2, 0.0, -0.5], [0.1, 0.0, -0.2], [-0.8, 0.2, 0.3], [0.0, 0.1, 0.0], [0.2, 0.0, -0.5], [0.2, -0.3, -0.2], [-0.3, 0.0, 0.1], [0.2, 0.2, -0.5], [-0.4, -0.2, -0.1], [-0.3, -0.2, 0.6], [0.5, 0.0, -0.5], [-0.2, 0.1, -0.1], [-1.2, 0.5, 1.2], [0.0, -0.7, -1.1], [1.2, 0.2, -0.1]], "lowdin_charge": [-0.087, -0.139, -0.357, -0.087, -0.074, 0.058, 0.077, 0.060, 0.092, 0.064, 0.088, 0.068, 0.077, 0.072, 0.083, -0.063, 0.056, 0.044, -0.075, 0.036, 0.007], "charge": 0, "smiles": "CC=C(C)C.O.O", "spin_multiplicity": 1, "e_lumo_ev": 0.49, "e_homo_ha": -0.3090}